
Displaying posts in the category: News

Featured image with Beste Senem Değirmenci

Posted by , on 18 August 2023

Our featured image, ‘Bubbles of The Cell’, shows enlarged endosomal vesicles in HeLa S3 cells upon inhibition of PI(3,5)P2 activity. PI(3,5)P2 is a crucial phosphoinositide involved in the regulation of endosomal trafficking. Depletion of PI(3,5)P2 disrupts the transition from early to late endosomes, leading to the enlargement of endosomal vesicles. Imaged with Leica DMI8 SP8

Featured image with Outi Paloheimo

Posted by , on 4 August 2023

Our featured image is laser scanning confocal microscope image showing cell division of Madin-Darby canine kidney cells with nuclei in grey and filamentous actin in orange. The image was acquired with a Zeiss LSM 780 microscope with a 63x/1.40 oil immersion objective, 405 nm diode laser and 561 nm diode-pumped solid-state laser. Deconvolution was performed

The FocalPlane correspondents: Marta Forcella

Posted by , on 26 July 2023

At the beginning of the year, we announced that we will be working with three FocalPlane correspondents, who will be helping us to develop and write content for FocalPlane. We caught up with each of them to chat about their research backgrounds and the topics that they’re excited to write about. Here, we talk to

Featured image with David McGrath

Posted by , on 21 July 2023

Our featured image is of mature mouse brown adipocytes (WT-1 cell line) under normal conditions from David McGrath. Channel 1 (green LUT) shows lipid droplets stained with BODIPY 493/503 and channel 2 (fire LUT) shows mitochondria stained with TMRE. The image was obtained using a Visitron SD-TIRF confocal microscope (60x Apo TIRF (corr.) Oil/ NA: 1.49) at the UKE Microscopy Imaging Facility

New on the Node — Unveiling the Unseen: Organizing a Science Art Exhibition

Posted by , on 12 July 2023

What happens when one combines their love for art, microscopy and developmental biology? In a blog post on the Node, Elisabeth Kulger talks about her experience of planning a science art exhibition showcasing the intricate world of developmental biology through the lens of microscopy. Head over to the Node to read more about the challenges,

Featured image with Ramiro Tomasina

# Crystal structures, as found in the file
Computed, not measured: Nb3In after structural relaxation at the meta-GGA r2SCAN level of DFT.

Output
ρ	8555	kg/m³
formation energy from the elements	-10	meV/atom
space group	Cmmm (65)

Cell lengths 2.9027, 2.9027, 9.4529 Å; angles 90.00, 90.00, 106.46 degrees
Sites, in units of the cell vectors:
Nb (0.0000, 0.0000, 0.0000)
Nb (0.5000, 0.5000, 0.2433)
Nb (0.5000, 0.5000, 0.7567)
In (0.0000, 0.0000, 0.5000)


Computed, not measured: CuBiO2 after structural relaxation at the meta-GGA r2SCAN level of DFT.

Output
ρ	7876	kg/m³
formation energy from the elements	-998	meV/atom
space group	P2_1/m (11)

Cell lengths 6.0675, 3.5724, 6.6327 Å; angles 90.00, 116.73, 90.00 degrees
Sites, in units of the cell vectors:
Cu (0.0290, 0.2500, 0.1621)
Cu (0.9710, 0.7500, 0.8379)
Bi (0.4221, 0.2500, 0.7313)
Bi (0.5779, 0.7500, 0.2687)
O (0.3003, 0.7500, 0.9174)
O (0.3664, 0.2500, 0.3023)
O (0.6336, 0.7500, 0.6977)
O (0.6997, 0.2500, 0.0826)

Posted by , on 12 July 2023

Our featured image shows an ultrastructure expansion microscopy image of a procyclic Trypanosoma brucei labelled with anti-acetylated tubulin in magenta, DAPI in cyan and a flagellar marker in yellow. The image is a z-projection of  maximum intensity. The image was acquired in the Trypanosoma cell biology unit at the Institut Pasteur of Paris (headed by Philippe Bastin),

The FocalPlane correspondents: Mai Rahmoon

Posted by , on 11 July 2023

At the beginning of the year, we announced that we will be working with three FocalPlane correspondents, who will be helping us to develop and write content for FocalPlane. We caught up with each of them to chat about their research backgrounds and the topics that they’re excited to write about. Our second interview is

The FocalPlane correspondents: Mariana De Niz

Posted by , on 27 June 2023

At the beginning of the year, we announced that we will be working with three correspondents, who will be helping us to develop and write content for FocalPlane. We caught up with each of them to chat about their research backgrounds and the topics that they’re excited to write about. This interview is with Mariana

The Company of Biologists Workshops 2025

Posted by , on 12 June 2023

Do you have an idea for a new Workshop, but are not sure that you have time to take care of all the planning? You can apply to organise a Workshop with The Company of Biologists and while you take care of the science, our events team will organise the logistics of the meeting. We

AI4Life at the 5th NEUBIAS Conference

Posted by , on 26 May 2023

AI4Life recently participated in the 5th NEUBIAS Conference in Porto, Portugal, a two-part event comprising the Defragmentation Training School and the Open Symposium. This conference brought together experts and enthusiasts in the field of BioImage Analysis (BIA) to explore cutting-edge techniques and advancements in the integration of cloud computing. Under the umbrella of AI4Life, there